Given:
____________
1.
{
  "formula": "C8H20N3S",
  "method": "ωB97M-V/def2-TZVPD",
  "charge": 1,
  "e_tot_ev": -23914.20355,
  "relative_energy_kcal_mol": 95.95,
  "homo_lumo_gap_ha": 0.26813,
  "elements": ["C", "C", "C", "C", "C", "C", "C", "C", "N", "N", "N", "S", "H", "H", "H", "H", "H", "H", "H", "H", "H", "H", "H", "H", "H", "H", "H", "H", "H", "H", "H", "H"],
  "positions_angstrom": [[0.44548, 1.27518, -0.16496], [-0.38312, 1.12815, 1.19479], [1.11352, -1.12372, -0.50032], [-2.06475, 0.05811, -0.25853], [2.13842, -2.20249, 0.03554], [2.21569, 0.61033, -1.59749], [-2.63925, 1.98556, 1.14652], [-1.33682, -2.04733, 0.61344], [1.47588, 0.22568, -0.41430], [-1.83023, 0.82242, 0.93326], [-2.02581, -1.28048, -0.23389], [-3.06674, 0.85572, -1.51872], [-0.33941, 1.14438, -1.01332], [0.85191, 2.31134, -0.30256], [0.23814, 0.48456, 1.87677], [-0.40550, 2.04045, 1.71725], [0.76778, -1.43942, -1.50849], [1.55843, -2.97138, 0.40013], [2.94369, -1.88443, 0.72636], [2.77529, -2.60521, -0.74231], [1.58499, 0.62877, -2.51219], [2.50040, 1.58884, -1.40581], [3.12129, -0.10518, -1.89953], [-2.64230, 2.13516, 2.17085], [-2.12856, 2.83617, 0.62592], [-3.64028, 1.90477, 0.92163], [-1.25808, -1.59482, 1.64643], [-1.13980, -3.07651, 0.32717], [0.17412, -1.40359, 0.04162], [-2.35766, -1.71689, -1.09978], [2.14117, 0.06337, 0.30948], [-3.94426, 0.08106, -1.93365]]
}

***

2.
{
  "formula": "C8H20NSi",
  "method": "ωB97M-V/def2-TZVPD",
  "charge": 1,
  "e_tot_ev": -17977.25306,
  "relative_energy_kcal_mol": 82.79,
  "homo_lumo_gap_ha": 0.29816,
  "elements": ["C", "C", "C", "C", "C", "C", "C", "C", "N", "Si", "H", "H", "H", "H", "H", "H", "H", "H", "H", "H", "H", "H", "H", "H", "H", "H", "H", "H", "H", "H"],
  "positions_angstrom": [[1.66226, -2.81199, -0.19117], [1.89822, -1.82673, 0.64841], [3.25579, 1.95728, 0.42407], [-3.26226, 1.24947, 0.16515], [-2.84972, -1.19704, -0.66937], [1.01846, 0.09347, -1.74477], [2.14549, 1.27136, 1.22835], [-1.40270, -0.39355, 1.01007], [-2.36328, 0.08868, -0.19069], [1.46957, -0.12191, 0.11908], [1.69888, -3.78430, 0.14036], [1.27447, -2.65980, -1.14844], [2.33090, -1.94612, 1.59519], [4.06613, 1.22495, 0.09200], [2.83262, 2.55666, -0.51433], [3.73182, 2.71238, 1.04604], [-2.95013, 2.21077, -0.33283], [-4.33218, 1.13795, -0.15673], [-3.29926, 1.49760, 1.27340], [-2.00553, -1.93784, -1.10392], [-3.31826, -1.69113, 0.13678], [-3.55153, -1.14059, -1.52643], [1.35944, -0.68647, -2.42948], [0.00458, 0.35308, -1.85234], [1.68072, 0.95601, -2.09724], [1.26759, 1.95827, 1.42565], [2.49486, 1.08429, 2.22802], [-1.28177, 0.50062, 1.72352], [-1.97341, -1.15098, 1.56273], [-1.60177, 0.49562, -0.86109]]
}

***

3.
{
  "formula": "C8H20O4",
  "method": "ωB97M-V/def2-TZVPD",
  "e_tot_ev": -16808.29832,
  "relative_energy_kcal_mol": 28.19,
  "homo_lumo_gap_ha": 0.36781,
  "elements": ["C", "C", "C", "C", "C", "C", "C", "C", "H", "H", "H", "H", "H", "H", "H", "H", "H", "H", "H", "H", "H", "H", "O", "H", "H", "O", "H", "H", "O", "H", "H", "O"],
  "positions_angstrom": [[-0.22605, 1.78122, 1.60160], [0.85119, 0.91618, 0.96545], [0.28418, 0.11363, -0.19189], [-0.50217, -0.94686, 0.00329], [0.18485, 1.74313, -2.04110], [0.64912, 0.59218, -1.52595], [1.58936, -0.25952, -2.28419], [1.23701, -1.40678, -2.85327], [-0.76820, 2.39488, 0.90592], [-0.98964, 1.19259, 2.19349], [0.22062, 2.51902, 2.35304], [1.66737, 1.56243, 0.59951], [1.31519, 0.24555, 1.72091], [-0.74579, -1.33536, 0.96320], [-0.91401, -1.52071, -0.79806], [0.45361, 2.08472, -3.04638], [-0.49304, 2.45353, -1.48931], [2.58636, 0.15227, -2.35402], [0.27299, -1.83346, -2.90095], [1.91918, -2.02439, -3.44787], [3.03294, -1.67118, 0.88243], [1.78023, -2.05080, 0.09798], [2.25781, -2.20904, 0.88416], [-4.15230, -0.34064, 1.09733], [-2.64880, -0.29550, 1.45835], [-3.39812, 0.23358, 1.23390], [0.14986, -1.45067, 2.95753], [1.48471, -2.05025, 2.47181], [0.99934, -1.75927, 3.26745], [-3.05753, 1.37566, -0.09548], [-2.37954, 1.09954, -1.39704], [-2.78049, 1.78656, -0.92080]]
}

***

4.
{
____________

What to do:
It remains to give back the whole of the notes above unchanged.

Response:
1.
{
  "formula": "C8H20N3S",
  "method": "ωB97M-V/def2-TZVPD",
  "charge": 1,
  "e_tot_ev": -23914.20355,
  "relative_energy_kcal_mol": 95.95,
  "homo_lumo_gap_ha": 0.26813,
  "elements": ["C", "C", "C", "C", "C", "C", "C", "C", "N", "N", "N", "S", "H", "H", "H", "H", "H", "H", "H", "H", "H", "H", "H", "H", "H", "H", "H", "H", "H", "H", "H", "H"],
  "positions_angstrom": [[0.44548, 1.27518, -0.16496], [-0.38312, 1.12815, 1.19479], [1.11352, -1.12372, -0.50032], [-2.06475, 0.05811, -0.25853], [2.13842, -2.20249, 0.03554], [2.21569, 0.61033, -1.59749], [-2.63925, 1.98556, 1.14652], [-1.33682, -2.04733, 0.61344], [1.47588, 0.22568, -0.41430], [-1.83023, 0.82242, 0.93326], [-2.02581, -1.28048, -0.23389], [-3.06674, 0.85572, -1.51872], [-0.33941, 1.14438, -1.01332], [0.85191, 2.31134, -0.30256], [0.23814, 0.48456, 1.87677], [-0.40550, 2.04045, 1.71725], [0.76778, -1.43942, -1.50849], [1.55843, -2.97138, 0.40013], [2.94369, -1.88443, 0.72636], [2.77529, -2.60521, -0.74231], [1.58499, 0.62877, -2.51219], [2.50040, 1.58884, -1.40581], [3.12129, -0.10518, -1.89953], [-2.64230, 2.13516, 2.17085], [-2.12856, 2.83617, 0.62592], [-3.64028, 1.90477, 0.92163], [-1.25808, -1.59482, 1.64643], [-1.13980, -3.07651, 0.32717], [0.17412, -1.40359, 0.04162], [-2.35766, -1.71689, -1.09978], [2.14117, 0.06337, 0.30948], [-3.94426, 0.08106, -1.93365]]
}

***

2.
{
  "formula": "C8H20NSi",
  "method": "ωB97M-V/def2-TZVPD",
  "charge": 1,
  "e_tot_ev": -17977.25306,
  "relative_energy_kcal_mol": 82.79,
  "homo_lumo_gap_ha": 0.29816,
  "elements": ["C", "C", "C", "C", "C", "C", "C", "C", "N", "Si", "H", "H", "H", "H", "H", "H", "H", "H", "H", "H", "H", "H", "H", "H", "H", "H", "H", "H", "H", "H"],
  "positions_angstrom": [[1.66226, -2.81199, -0.19117], [1.89822, -1.82673, 0.64841], [3.25579, 1.95728, 0.42407], [-3.26226, 1.24947, 0.16515], [-2.84972, -1.19704, -0.66937], [1.01846, 0.09347, -1.74477], [2.14549, 1.27136, 1.22835], [-1.40270, -0.39355, 1.01007], [-2.36328, 0.08868, -0.19069], [1.46957, -0.12191, 0.11908], [1.69888, -3.78430, 0.14036], [1.27447, -2.65980, -1.14844], [2.33090, -1.94612, 1.59519], [4.06613, 1.22495, 0.09200], [2.83262, 2.55666, -0.51433], [3.73182, 2.71238, 1.04604], [-2.95013, 2.21077, -0.33283], [-4.33218, 1.13795, -0.15673], [-3.29926, 1.49760, 1.27340], [-2.00553, -1.93784, -1.10392], [-3.31826, -1.69113, 0.13678], [-3.55153, -1.14059, -1.52643], [1.35944, -0.68647, -2.42948], [0.00458, 0.35308, -1.85234], [1.68072, 0.95601, -2.09724], [1.26759, 1.95827, 1.42565], [2.49486, 1.08429, 2.22802], [-1.28177, 0.50062, 1.72352], [-1.97341, -1.15098, 1.56273], [-1.60177, 0.49562, -0.86109]]
}

***

3.
{
  "formula": "C8H20O4",
  "method": "ωB97M-V/def2-TZVPD",
  "e_tot_ev": -16808.29832,
  "relative_energy_kcal_mol": 28.19,
  "homo_lumo_gap_ha": 0.36781,
  "elements": ["C", "C", "C", "C", "C", "C", "C", "C", "H", "H", "H", "H", "H", "H", "H", "H", "H", "H", "H", "H", "H", "H", "O", "H", "H", "O", "H", "H", "O", "H", "H", "O"],
  "positions_angstrom": [[-0.22605, 1.78122, 1.60160], [0.85119, 0.91618, 0.96545], [0.28418, 0.11363, -0.19189], [-0.50217, -0.94686, 0.00329], [0.18485, 1.74313, -2.04110], [0.64912, 0.59218, -1.52595], [1.58936, -0.25952, -2.28419], [1.23701, -1.40678, -2.85327], [-0.76820, 2.39488, 0.90592], [-0.98964, 1.19259, 2.19349], [0.22062, 2.51902, 2.35304], [1.66737, 1.56243, 0.59951], [1.31519, 0.24555, 1.72091], [-0.74579, -1.33536, 0.96320], [-0.91401, -1.52071, -0.79806], [0.45361, 2.08472, -3.04638], [-0.49304, 2.45353, -1.48931], [2.58636, 0.15227, -2.35402], [0.27299, -1.83346, -2.90095], [1.91918, -2.02439, -3.44787], [3.03294, -1.67118, 0.88243], [1.78023, -2.05080, 0.09798], [2.25781, -2.20904, 0.88416], [-4.15230, -0.34064, 1.09733], [-2.64880, -0.29550, 1.45835], [-3.39812, 0.23358, 1.23390], [0.14986, -1.45067, 2.95753], [1.48471, -2.05025, 2.47181], [0.99934, -1.75927, 3.26745], [-3.05753, 1.37566, -0.09548], [-2.37954, 1.09954, -1.39704], [-2.78049, 1.78656, -0.92080]]
}

***

4.
{